Wednesday, December 9, 2015

~~~
Record 1
ORCA calculation (ωB97M-V/def2-TZVPD) on a molecular structure, C25H45N2P3SSeTb in a non-equilibrium geometry.

Structure (XYZ):
```
78
Properties=species:S:1:pos:R:3:forces:R:3
C -0.3019 1.1979 7.7908 -0.5 -0.1 -0.8
H 2.3770 -0.5531 2.4840 0.0 0.2 0.1
H 0.8415 2.9487 1.5538 0.2 0.0 -0.2
H 1.7509 -1.4026 6.9236 0.0 0.1 0.1
C 1.3354 3.0196 -2.6538 0.1 0.2 0.4
H 2.1963 -2.0676 4.1901 -0.7 0.1 0.0
C 0.7335 0.2611 7.9010 0.2 -1.0 -0.5
H -0.5554 -3.6565 -0.4317 0.3 0.3 -0.2
H 1.4402 -2.6529 0.5425 -0.3 0.5 -0.5
C 0.0633 -0.6866 5.7801 1.1 0.2 -0.2
C -1.0105 -4.5681 -7.7256 0.2 0.1 0.5
C 1.9414 0.4218 -3.5765 0.1 -0.3 0.2
N 0.2317 -1.2489 4.4971 -1.0 0.1 -0.8
H -1.8243 3.5042 -1.6426 0.1 0.0 0.2
H 0.7694 -5.5578 -7.0038 -0.1 0.3 0.1
H 0.8218 -2.9206 3.3888 0.1 0.0 0.5
H 2.3157 3.0788 -2.1695 -0.2 0.0 -0.1
H -4.2427 2.1023 -0.6795 0.2 -0.3 0.0
H 0.6520 3.7249 -2.1684 0.1 -0.1 -0.1
H -1.1680 -2.2144 -2.8861 -0.4 -0.7 -0.8
H -0.4372 1.9251 8.5829 -0.1 0.0 -0.2
C -1.9217 -3.5409 -7.4700 0.0 0.2 0.5
Tb -0.3424 -0.7991 -1.0364 0.0 2.3 1.3
C 1.1337 -2.3783 4.2923 0.5 -0.2 0.0
C -0.7350 -2.8851 -5.4149 -0.5 -1.6 -1.0
C 0.9326 -0.6954 6.8834 -0.1 0.3 0.5
C -1.1184 1.2177 6.6540 -0.5 0.5 0.7
H -4.0196 0.3521 -0.3670 0.0 0.2 -0.2
H 1.3896 0.2899 8.7892 -0.4 -0.1 -0.7
H 4.1068 1.3419 0.6345 -0.1 -0.2 -0.4
C -1.8047 3.3597 -0.5561 0.4 0.1 -0.1
H 3.7717 -0.2298 -0.1539 0.1 0.3 -0.1
H 0.9659 -4.0877 -4.9804 0.3 -0.2 -0.1
H -1.3682 0.6557 -3.8535 0.2 0.5 0.0
H -1.8733 1.9838 6.4780 0.2 -0.1 0.4
P 0.6613 1.3238 -2.6064 0.0 0.2 -1.4
H 1.8136 0.6942 -4.6332 0.2 -0.1 0.2
H 3.2019 1.0296 2.5347 -0.3 -0.2 -0.1
H 1.0812 -2.9966 5.2074 -0.1 0.0 -0.7
H 1.4471 3.3057 -3.7110 -0.1 -0.2 0.3
H 3.5335 1.3073 -1.0581 0.0 -0.2 0.2
H -3.4911 1.0658 -1.9242 -0.2 0.0 0.2
H -0.8884 3.8039 -0.1423 -0.2 -0.1 -0.2
S -0.5458 -1.7538 -4.0326 0.1 0.0 -0.1
C 2.2461 0.5235 2.3308 -0.2 -0.5 0.3
H -1.3003 2.4290 -3.5709 0.2 -0.2 -0.1
C 1.3934 -2.7589 -0.5512 -0.9 -2.1 -0.7
H 2.6176 2.9792 1.4030 -0.3 -0.1 -0.2
C -3.5823 1.2385 -0.8441 0.1 -0.2 -0.2
P 1.7425 0.8822 0.5969 1.1 0.6 0.7
H -2.6676 3.8879 -0.1219 0.3 -0.2 -0.2
P -1.9285 1.5780 -0.1083 -1.3 1.0 0.3
C -0.7097 1.5378 -3.8198 -0.3 -0.2 0.1
H -1.1401 -5.2667 -8.5645 0.1 0.6 0.3
C 3.4540 0.8188 -0.0788 -0.1 -0.2 -0.3
H -3.0690 0.9521 1.9571 0.2 0.2 -0.1
H 1.5041 0.9039 3.0440 0.1 -0.2 -0.2
H 2.9489 0.6829 -3.2245 -0.3 0.0 -0.2
C -0.9452 0.2422 5.6874 0.5 0.6 -0.7
C -1.8039 -2.7408 -6.3128 -0.1 0.2 -0.4
H -2.1479 0.7593 4.0084 0.0 -0.1 -0.1
C -0.6806 -0.7002 3.6107 0.6 0.2 2.1
C 0.2811 -3.3772 -1.1006 2.0 -0.9 0.8
H 2.3380 -2.5994 -1.0938 -0.6 -0.1 0.0
C -2.5114 1.8381 1.6232 0.2 -0.2 0.4
H 1.6101 3.2781 -0.0380 -0.1 -0.1 0.3
H -2.7560 -3.3626 -8.1571 0.3 -0.1 0.4
N -1.3732 0.2181 4.3573 0.0 -0.8 -0.9
H 0.2357 -3.8773 -2.0957 0.3 0.9 0.7
H -1.6516 1.9929 2.2863 -0.1 0.0 -0.1
H -3.1630 2.7227 1.6991 0.2 -0.3 -0.2
H -2.5523 -1.9863 -6.1305 -0.1 0.1 0.0
C 0.0605 -4.7466 -6.8360 -0.4 0.4 0.5
C 0.1749 -3.9302 -5.6968 0.1 0.2 0.2
~~~

Sean to the Rescue!

Thank you to Amy DeBurgh, Director of Volunteers and Guest Services, for writing today's blog.

Sean Krause is a graduate of Shepherds College and is a participant in the Shepherds Ministries Catalyst program.  I spoke with his mom recently, and she relayed an amazing story to me about him.  

Sean’s mom, Leona, and his dad, David, recently gave in to Sean’s long-time request to get an iPhone. Shortly after this purchase, he was sent back to his home and his job at Shepherds, with little or no instruction on how to use it.  He had already picked up bits and pieces of information about an iPhone, from people around him who have one.  One of Sean’s responsibilities for Shepherds Ministries is to travel on the Gospel Team with Al Pick, our Midwest field representative, visiting churches and sharing with them the Gospel using many Scripture verses.  While on the road, Sean learned how to use the Map app on his iPhone.  This would be very useful, as it turns out, to save his dad in a dangerous health emergency.

While visiting his parents over Thanksgiving, Sean decided to go play some touch football with some guys from church.  He and his dad were on their way to the game when it became evident that something wasn’t right.  After they had been gone about half an hour, Sean’s mom received a phone call from him.  “Dad pulled over, mom.  Dad, talk to my mom!”  Sean’s father was unresponsive.  He is diabetic and his blood sugar had bottomed out.  When his mom asked Sean where they were, he looked around and told her the location.  She was unsure about that information.  Sean had been learning more about using his phone, and he was able to send their location to her phone from his.  Sean and his dad indeed were where he said they were.  She sped to the location and called 911.  Sean’s awareness of his surroundings and his growing independence and confidence in using technology served to keep his father from possibly slipping into a coma.  His father made a quick recovery and was able to drive everyone home from the hospital that day.  He had taken measures to regulate his blood sugar, but it didn’t take effect as soon as he had hoped.

Sean’s mom and dad praise God for Shepherds College and the Catalyst program.  They can’t say enough about the amazing ways they see Sean growing in confidence, ability and independence.  Leona said, “Every time he comes home to visit, he knows more and does more for himself.  I never should have doubted him.”